• Story: A Nightmare to Remember (Updated Complete!)

    [Normal] Cereal says that this last part is the conclusion!

    Author: Cereal Velocity
    Description: Ancient magicians filled scrolls with their powerful, untested magic. Most of these lay forgotten, lost to the ages. Some, unfortunately for those brave enough to search, are found.
    A Nightmare to Remember
    A Nightmare to Remember Part 2
    A Nightmare to Remember Part 3 (New!) 

    Additional Tags: Rarity now hates tea cups.

    25 kommentaari:

    1. That was brilliant. The dream seemed vivid, yet confusing, as dreams often are. Characters seemed vibrant and it is an interesting story that seems to be using nightmare moon as some kind of antagonist, an occurrence that's becoming more and more common (which is awesome).

    2. Glad that picture got a color change, it always looked scary before.

    3. The part with the tree reminded me of Majora's Mask.

    4. I was nervous to see this get a followup- the original is so tantalizingly unsatisfying, I was worried a sequel would ruin the magic.

      I am happy to see that that is not the case- I really should not have doubted CV. The addition of Rarity and her vexing jealousy is a marvelous one, and I love the explanation of how pony magic works. The dream was feverish, but clearly themed: centered around death. I eagerly await more!

    5. This is looking pretty awesome. Is it heading toward grimdark territory? It seems like something that would make an amazing grimdark piece.

    6. I have enjoyed the story so far. While I wouldn't mind a grimdark story (because it seems to be heading in that direction) I do hope it will have a bit more...character dissection, for lack of a better term.

      I also really like the characterization of Rarity in the latest update.

    7. What Ebonmane an Malacoda said. This seems like it woul make a good Grimdark piece, while also "dissecting" the characters and their motivations/feelings.

      Whatever way it goes, I look forward to reading it.

    8. Thanks for the comments, guys.

      Regarding where the story is heading, I (for once) have part three roughed out in my head already, and it will be the conclusion. So far I've been trying to toe that grimdark line without actually crossing it, and for the foreseeable future that's what I'll continue to do.

      Thanks for reading!

    9. The far overdue Part III is complete, as is the story!

      If you've read it, I hope you enjoyed it! I certainly enjoyed telling the tale.

    10. I'm glad I didn't see this story earlier, I don't think I would have liked it if I had to stop reading at chapter 2.

    11. Dream theater reference? (probably not... A nightmare to remember is probably a common phrase)

    12. rarityismytrollqueen2. mai 2011, kell 23:52

      That was excellent

    13. I dunno. The third chapter felt like it wasn't a part of the rest of the story. The mysterious spell puts the pony into a nightmare to face their own anger? Then again, the rest of the story is intentionally ambiguous on a lot of points. I think it gets across the idea that Rarity is avoiding a far darker fate than we guess. The dream sequences were brilliant, and I love the imagery. Overall a really good read. Thanks. :)

    14. Hmm. I am not sure if this references something. If it does, it would explain some of the confusion. Either way, it was a compelling read. I am not sure I understand everything, but I enjoyed reading it none the less.

    15. It was great, I really enjoyed it a lot.

    16. "Are you going to kill her for this?"

      My blood ran ice cold. I remember thinking that, and reading the next part, where Rarity's did the same.

      This was a roller coaster! I was enthralled. Some really, really deep stuff was explored, and done so beautifully. I particularly like Luna's part in all this.

      I wish I could write half as well as you.

    17. If I could rate this six stars, I would.

    18. Oh my god. Reading this while listening to Thanqo's youtube version was absolutely AMAZING. I actually got really freaked out by Sweetie Belle!

    19. It's not until we wake up that we realize that it was actually strange...

      Dream Bigger.

    20. I bursted out laughter when i saw the title. There is actually a song named A Nightmare To Remember :D

    21. Hmm... My Little Pony meets Inception? It's certainly strange enough.

      Every scene which was supposed to be a dream actually felt like a dream, so well done!

    22. I'm such a big sensitive softie.

      Half the fics I have read aren't even marked [Sad], and yet they bring a tear to my eye.

      Beautifully written.

    23. holy hell... mental note: look through the story archives more often, because you find THIS kind of writing if you search.

      Idk if Cereal will ever read my lowly comment, but if you are, bravo. While this story didn't bother much with the characters of the show, what was happening, the themes and revelations in the writing- they were so stupendous. How on earth is this based on a show about magical pastel colored candy equines?

      Seth needs to do an archive repost marathon, so stuff like this is never lost to the void. Cereal, go write a book already, so I can buy it.

    24. I agree with Risky. This is an old story but it was heart warming all the same. If I wasn't looking through the archives, I would have missed this.

Data records that have nothing to do with the page:
-- begin --
Here is a relaxed Mn2SbPbO4 crystal from Alexandria. Energies are from PBE with a Hubbard U.

The calculation puts the total magnetic moment at 1.226 μB/atom. Its density of states at the Fermi level is 4.018 states/eV per cell. The uncorrected energy comes out at -205.51 eV/cell.

It has space group C2/c (No. 15), with a = 9.3040 Å, b = 9.2363 Å, c = 6.8139 Å, α = 90.00°, β = 126.01° and γ = 90.00°. The distinct sites, in fractional coordinates, are Mn at (0.0000, 0.0000, 0.0000), Mn at (0.2500, 0.2500, 0.0000), Sb at (0.0000, 0.5000, 0.0000), Pb at (0.2500, 0.2500, 0.5000), O at (0.0306, 0.2486, 0.0152) and O at (0.2029, 0.0225, 0.8734).

----------

(1)
Density functional theory data (PBE) for crystalline BaTe2 at its relaxed geometry.

The space-group type is No. 139. The raw formation energy comes out at -1093 meV per atom. As for the total energy: -3.828 eV per atom.

Lattice parameters (Å, degrees): 6.743 6.743 6.743 139.24 139.24 59.02
Element x y z (fractional)
Ba 0.000 0.000 0.000
Te 0.380 0.380 0.000
Te 0.620 0.620 0.000

***

(2)
Density functional theory data (PBE) for crystalline Ba2Te at its relaxed geometry.

The space-group type is No. 139. The raw formation energy comes out at -1038 meV per atom. As for the total energy: -3.367 eV per atom. For the density of states at the Fermi level, the calculation gives 2.579 states/eV/cell.

Lattice parameters (Å, degrees): 8.412 8.412 8.412 150.26 150.26 42.56
Element x y z (fractional)
Ba 0.128 0.128 0.000
Ba 0.872 0.872 0.000
Te 0.500 0.500 0.000

***

(3)
Density functional theory data (PBE) for crystalline BaTe at its relaxed geometry.

The space-group type is No. 63. The raw formation energy comes out at -1679 meV per atom. As for the total energy: -4.211 eV per atom. For the density of states at the Fermi level, the calculation gives 0.000 states/eV/cell.

Lattice parameters (Å, degrees): 7.074 7.074 5.442 90.00 90.00 142.33
Element x y z (fractional)
Ba 0.121 0.879 0.750
Ba 0.879 0.121 0.250
Te 0.381 0.619 0.750
Te 0.619 0.381 0.250

***

(4)
Density functional theory data (PBE) for crystalline Ba6Te5 at its relaxed geometry.

The space-group type is No. 12. The raw formation energy comes out at -1587 meV per atom. As for the total energy: -4.064 eV per atom. For the density of states at the Fermi level, the calculation gives 5.286 states/eV/cell.

Lattice parameters (Å, degrees): 8.614 8.614 8.622 99.60 99.60 119.97
Element x y z (fractional)
Ba 0.077 0.416 0.747
Ba 0.246 0.246 0.253
Ba 0.416 0.077 0.747
Ba 0.584 0.923 0.253
Ba 0.754 0.754 0.747
Ba 0.923 0.584 0.253
Te 0.000 0.000 0.500
Te 0.167 0.833 0.000
Te 0.334 0.666 0.500
Te 0.666 0.334 0.500
Te 0.833 0.167 0.000

***

(5)
Density functional theory data (PBE) for crystalline Ba2Te at its relaxed geometry.
-- stop --
The data records stop here:

    25. Holy crap. Inception central.
      And like Risky said, take the time to look through the story archive to find writing like this.
